Alright next useless post will result in the closure of this thread. Aye?
But in all reality... I think I might be insane...
Just because we are less intelligent does not mean our posts are useless. :c
"i rlly want to join it cuz to me it is famouse" ~woodysaad
WARNING: Actual discussion inbound:
Mind if i butt in here?

-- Unrelated to this article: crystal structures --
=====
Record 1
Starting from a structure optimized by DFT (GGA-PBE), the X-ray powder pattern of Ac4SiHgBr2 was simulated for Cu Kα.

Most intense lines, 2θ = 10–80°, by angle:
d (Å)	I/Imax
3.887	13
3.772	20
3.282	50
3.267	100
2.363	42
2.317	18
2.304	20
2.271	35
1.945	14
1.886	22

Crystal structure
a = 7.833 Å, b = 4.609 Å, c = 8.256 Å
α = 90.00°, β = 109.60°, γ = 90.00°
Positions (direct):
Ac 0.227 0.000 0.232
Ac 0.231 0.500 0.754
Ac 0.769 0.500 0.246
Ac 0.773 0.000 0.768
Si 0.000 0.500 0.000
Hg 0.000 0.000 0.500
Br 0.500 0.000 0.000
Br 0.500 0.500 0.500

***

Record 2
Starting from a structure optimized by DFT (GGA-PBE), the X-ray powder pattern of VW2Se was simulated for Cu Kα.

Most intense lines, 2θ = 10–80°, by angle:
d (Å)	I/Imax
4.851	44
2.551	100
2.426	35
2.047	53
1.870	8
1.745	52
1.564	23
1.322	10
1.228	10
1.223	16

Crystal structure
a = 10.056 Å, b = 10.056 Å, c = 10.056 Å
α = 158.57°, β = 158.57°, γ = 30.49°
Positions (direct):
V 0.000 0.000 0.000
V 0.750 0.250 0.500
W 0.124 0.625 0.999
W 0.375 0.374 0.499
W 0.626 0.125 0.001
W 0.875 0.876 0.501
Se 0.250 0.750 0.500
Se 0.500 0.500 0.000

***

Record 3
Starting from a structure optimized by DFT (GGA-PBE), the X-ray powder pattern of Pm2Tm2Sn3 was simulated for Cu Kα.

Most intense lines, 2θ = 10–80°, by angle:
d (Å)	I/Imax
2.678	100
2.586	23
2.472	20
2.023	11
1.787	15
1.593	10
1.566	10
1.510	18
1.464	16
1.339	12

Crystal structure
a = 8.846 Å, b = 8.846 Å, c = 8.846 Å
α = 147.54°, β = 146.01°, γ = 47.71°
Positions (direct):
Pm 0.120 0.120 0.000
Pm 0.880 0.880 0.000
Tm 0.378 0.378 0.000
Tm 0.622 0.622 0.000
Sn 0.247 0.747 0.500
Sn 0.500 0.000 0.500
Sn 0.753 0.253 0.500

***

Record 4
Starting from a structure optimized by DFT (GGA-PBE), the X-ray powder pattern of SmHoGeRh was simulated for Cu Kα.

Most intense lines, 2θ = 10–80°, by angle:
d (Å)	I/Imax
3.278	17
2.824	100
2.685	35
2.655	25
2.257	53
2.239	19
2.083	24
2.060	23
1.646	16
1.628	20

Crystal structure
=====

Originally Posted by Nickone
Considering the fact that humans made up the concept of time, basing it off of our own planet, would it be justifiable to say that time did not exist

Ok, to answer the very first post about time not existing, in short, it does.
If time is a concept that humans made up, it still exists as a progression of one moment to the next. If you think of it as a concept then that's where you have your debate.

However, time in itself if more than just a concept of linear progression of seconds, it's measurement which exists just as much as centimeters do, or degrees centigrade.
As a way of quantifying something.
e.g in chemistry you can have the amount of a substance (moles) reacting per second to find a comparable rate of reaction.
Without the time factor, you'd be pretty much unable to determine that. Or any "rates" really.

Originally Posted by Nickone
Where does every second that passes go?

Well that as a question doesn't make much sense. It doesn't 'go' anywhere, it simply passes.
If you think of time as a linear progression, then you can argue it just stays there, and all the time that's passes has done just that, passed, but remained at it's point long the timeline.
So that, hypothetically speaking, if one were to "go back in time" to that point, it would be the same, and everything would exist as it is in that moment, like a frame in a movie.

BUT, we do see things slightly delayed, the amount of time it takes for the light to reach our eyes. However miniscule that value may be, we do technically look at the past.
A more extreme example of this would be stars millions of kilometers away.
The time it takes for the light to travel to us means we're seeing the star as it was thousands of years ago, it's the same effect just teeny-tiny.
While that doesn't exactly answer any kind of question, it does debatably waver that point from the argument, showing time does not simply "vanish" once passed. I guess it depends upon which theories you subscribe to.

So yeah, not sure what else I can say on the matter.
To sum up, I'm essentially saying that time is a qualitative value giving to the pass of... well... time, in such a way that it has to exist just as any other measurement does.

EDIT: Also hey David \o/
Last edited by Erth; Oct 26, 2012 at 10:17 PM.

Yeah, I only don't like erthtkv2 because of the mod's name. Make it "tkv2," and the mod will instantly become more popular. This is a valid reason as the name of the mod is still an important feature that no one seems to have yet discussed.
Originally Posted by Erth View Post
WARNING: Actual discussion inbound:
Mind if i butt in here?

Ok, to answer the very first post about time not existing, in short, it does.
If time is a concept that humans made up, it still exists as a progression of one moment to the next. If you think of it as a concept then that's where you have your debate.

However, time in itself if more than just a concept of linear progression of seconds, it's measurement which exists just as much as centimeters do, or degrees centigrade.
As a way of quantifying something.
e.g in chemistry you can have the amount of a substance (moles) reacting per second to find a comparable rate of reaction.
Without the time factor, you'd be pretty much unable to determine that. Or any "rates" really.

Well that as a question doesn't make much sense. It doesn't 'go' anywhere, it simply passes.
If you think of time as a linear progression, then you can argue it just stays there, and all the time that's passes has done just that, passed, but remained at it's point long the timeline.
So that, hypothetically speaking, if one were to "go back in time" to that point, it would be the same, and everything would exist as it is in that moment, like a frame in a movie.

BUT, we do see things slightly delayed, the amount of time it takes for the light to reach our eyes. However miniscule that value may be, we do technically look at the past.
A more extreme example of this would be stars millions of kilometers away.
The time it takes for the light to travel to us means we're seeing the star as it was thousands of years ago, it's the same effect just teeny-tiny.
While that doesn't exactly answer any kind of question, it does debatably waver that point from the argument, showing time does not simply "vanish" once passed. I guess it depends upon which theories you subscribe to.

So yeah, not sure what else I can say on the matter.
To sum up, I'm essentially saying that time is a qualitative value giving to the pass of... well... time, in such a way that it has to exist just as any other measurement does.

EDIT: Also hey David \o/

Alright mr smart lots of words using guy, how were timelines set then? why does australia have to be theoretically speaking in the future to the united states etc?
If you mean time zones then that's just a manipulation of time to suit the position of the sun relative to different positions of the globe.
1 second passing in Australia is equivalent to 1 second passing in America, that second is just defined as a different time due to the different positions on the planet that it is observed in, but it's still the same second.

I guess you could call it the perception of time varying around the same moment(?)

Yeah, I only don't like erthtkv2 because of the mod's name. Make it "tkv2," and the mod will instantly become more popular. This is a valid reason as the name of the mod is still an important feature that no one seems to have yet discussed.
Originally Posted by Erth View Post
The time it takes for the light to travel to us means we're seeing the star as it was thousands of years ago, it's the same effect just teeny-tiny.

Yup. This also means that a lot of stars we can see have already supernova'd all over the place (and thus died). Which is kind of weird to think about.

Originally Posted by Erth View Post
Also hey David \o/

Hi Erth. :D
How's life treating ya'?
"i rlly want to join it cuz to me it is famouse" ~woodysaad
Well said, Erth. It's pretty much what I said, only very detailed.
It's good to see there is someone with a high intellectual ability. A man I understand.

Also, the sunlight that we see on earth takes 8 minutes to travel between the sun and earth, so if the sun were to suddenly extinguish, we would see it only after 8 minutes.
However, the sunlight that we actually see is over 10000 years old, because that's how long it takes to travel from the sun's core to the outside.

There's a little space-talk for you, kids.
David Moderated Message:
I don't mean to boast, but I'm a god.
Originally Posted by Phillip View Post
Well said, Erth. It's pretty much what I said, only very detailed.
It's good to see there is someone with a high intellectual ability. A man I understand.

Also, the sunlight that we see on earth takes 8 minutes to travel between the sun and earth, so if the sun were to suddenly extinguish, we would see it only after 8 minutes.
However, the sunlight that we actually see is over 10000 years old, because that's how long it takes to travel from the sun's core to the outside.

There's a little space-talk for you, kids.

In case you were refering to me, I wasn't talking about our sun.
"i rlly want to join it cuz to me it is famouse" ~woodysaad